Brief
What is needed: reproduce everything further down exactly.
Source
- - -
The following is a GGA-PBEsol calculation of an optimized crystal structure of Sr2ScSnPb, from Alexandria via LeMat-Bulk.

Computed properties:
total magnetization = 1.4 μB/cell
DFT total energy = -3.267 eV per atom
density = 4.78 g/cm3
N(E_F) = 1.01 states/eV per atom

a b c (Å): 5.9070 5.9070 5.4355
angles (deg): 90.00 90.00 90.00
Atoms (fractional coordinates):
Sr 0.0000 0.5000 0.0000
Sr 0.5000 0.0000 0.0000
Sc 0.0000 0.0000 0.0000
Sn 0.5000 0.5000 0.5000
Pb 0.0000 0.0000 0.5000


Entry from the Alexandria database: TbSmHg2 at its PBEsol-relaxed geometry (meta-GGA SCAN).

Cell lengths 5.223, 5.223, 5.223 Å; angles 60.00, 60.00, 60.00 degrees
Atoms (fractional coordinates):
Tb 0.000 0.000 0.000
Sm 0.500 0.500 0.500
Hg 0.250 0.250 0.250
Hg 0.750 0.750 0.750

## Properties
* density of states at the Fermi level: 3.0 states/eV/f.u.
* calculated formation energy: -698 meV per atom
* electronic total energy: -230.33 eV for the cell shown
* SG: Fm-3m (225)


First-principles (PBE-GGA) data for an optimized crystal structure of Cr2CoAu, as listed in the Alexandria database.

Lattice parameters (Å, degrees): 2.623 2.623 8.295 90.00 90.00 110.58
Site moments in Bohr magnetons follow the coordinates.
Sites, in units of the cell vectors:
Au 0.000 0.000 0.501  0.00
Co 0.500 0.500 0.776  1.53
Cr 0.000 0.000 0.004  0.21
Cr 0.500 0.500 0.219  -0.25

Properties
For the total magnetization, the calculation gives 0.361 μB/atom. The energy relative to the lowest polymorph listed for this composition is 144.1 meV per atom. Its space group is No. 35. For the energy of formation from the pure elements, the calculation gives 0.3096 eV per atom.


The following is a PBE calculation of crystalline RbZr2CrHg at its relaxed geometry, from the Alexandria database.

a b c (Å): 5.502 5.502 5.354
angles (deg): 90.00 90.00 90.00
Fractional coordinates of all 5 atoms:
Rb (0.000, 0.000, 0.000)
Zr (0.000, 0.500, 0.500)
Zr (0.500, 0.000, 0.500)
Cr (0.500, 0.500, 0.000)
Hg (0.500, 0.500, 0.500)

Properties
**Density**: 5332 kg/m³
**Total magnetic moment**: 0.348 μB/atom
**Formation enthalpy at 0 K**: 1228 meV per atom


(1)
InAg2Te | PBE | relaxed

Cell and atoms, written as POSCAR:
```
InAg2Te
1.0
2.045 -2.615 0.000
2.045 2.615 0.000
0.000 0.000 8.718
In Ag Te
1 2 1
Direct
0.000 0.000 0.000
0.500 0.500 0.239
0.500 0.500 0.761
0.000 0.000 0.500
```

Results
- DOS at the Fermi energy (states/eV/f.u.) = 1.86
- total magnetization (μB/cell) = 0.00
- calculated volume (Å³/cell) = 93.22
- total DFT energy (no corrections) (eV/atom) = -2.7509
- raw formation energy (eV per atom) = 0.145

***

(2)
CoSiAs2 | PBE | relaxed

Cell and atoms, written as POSCAR:
```
CoSiAs2
1.0
3.657 -1.718 0.000
3.657 1.718 0.000
-1.611 0.000 5.515
Co Si As
1 1 2
Direct
0.000 0.000 0.000
0.278 0.278 0.923
0.475 0.475 0.665
0.743 0.743 0.238
```

Results
- DOS at the Fermi energy (states/eV/f.u.) = 1.88
- total magnetization (μB/cell) = 0.00
- calculated volume (Å³/cell) = 69.29
- total DFT energy (no corrections) (eV/atom) = -5.4556
- raw formation energy (eV per atom) = 0.001

***

(3)
Tm4Bi3Se | PBE | relaxed

Cell and atoms, written as POSCAR:
```
Tm4Bi3Se
1.0
-3.077 3.077 6.120
3.077 -3.077 6.120
3.077 3.077 -6.120
Tm Bi Se
4 3 1
Direct
0.000 0.500 0.500
0.241 0.241 0.000
0.500 0.000 0.500
0.759 0.759 0.000
0.250 0.750 0.500
0.500 0.500 0.000
0.750 0.250 0.500
0.000 0.000 0.000
```

Results
- DOS at the Fermi energy (states/eV/f.u.) = 3.01
- total magnetization (μB/cell) = 0.00
- calculated volume (Å³/cell) = 231.71
- total DFT energy (no corrections) (eV/atom) = -5.1022
- raw formation energy (eV per atom) = -0.976

***

(4)
Pa2CoNi4Ge3 | PBE | relaxed

Cell and atoms, written as POSCAR:
```
Pa2CoNi4Ge3
1.0
3.983 0.000 0.000
0.000 3.983 0.000
0.000 0.000 9.859
Pa Co Ni Ge
2 1 4 3
Direct
0.000 0.500 0.243
0.500 0.000 0.757
0.500 0.500 0.000
0.000 0.000 0.500
0.000 0.500 0.863
0.500 0.000 0.137
0.500 0.500 0.500
0.000 0.000 0.000
0.000 0.500 0.628
0.500 0.000 0.372
```

Results
- - -
Result
The following is a GGA-PBEsol calculation of an optimized crystal structure of Sr2ScSnPb, from Alexandria via LeMat-Bulk.

Computed properties:
total magnetization = 1.4 μB/cell
DFT total energy = -3.267 eV per atom
density = 4.78 g/cm3
N(E_F) = 1.01 states/eV per atom

a b c (Å): 5.9070 5.9070 5.4355
angles (deg): 90.00 90.00 90.00
Atoms (fractional coordinates):
Sr 0.0000 0.5000 0.0000
Sr 0.5000 0.0000 0.0000
Sc 0.0000 0.0000 0.0000
Sn 0.5000 0.5000 0.5000
Pb 0.0000 0.0000 0.5000


Entry from the Alexandria database: TbSmHg2 at its PBEsol-relaxed geometry (meta-GGA SCAN).

Cell lengths 5.223, 5.223, 5.223 Å; angles 60.00, 60.00, 60.00 degrees
Atoms (fractional coordinates):
Tb 0.000 0.000 0.000
Sm 0.500 0.500 0.500
Hg 0.250 0.250 0.250
Hg 0.750 0.750 0.750

## Properties
* density of states at the Fermi level: 3.0 states/eV/f.u.
* calculated formation energy: -698 meV per atom
* electronic total energy: -230.33 eV for the cell shown
* SG: Fm-3m (225)


First-principles (PBE-GGA) data for an optimized crystal structure of Cr2CoAu, as listed in the Alexandria database.

Lattice parameters (Å, degrees): 2.623 2.623 8.295 90.00 90.00 110.58
Site moments in Bohr magnetons follow the coordinates.
Sites, in units of the cell vectors:
Au 0.000 0.000 0.501  0.00
Co 0.500 0.500 0.776  1.53
Cr 0.000 0.000 0.004  0.21
Cr 0.500 0.500 0.219  -0.25

Properties
For the total magnetization, the calculation gives 0.361 μB/atom. The energy relative to the lowest polymorph listed for this composition is 144.1 meV per atom. Its space group is No. 35. For the energy of formation from the pure elements, the calculation gives 0.3096 eV per atom.


The following is a PBE calculation of crystalline RbZr2CrHg at its relaxed geometry, from the Alexandria database.

a b c (Å): 5.502 5.502 5.354
angles (deg): 90.00 90.00 90.00
Fractional coordinates of all 5 atoms:
Rb (0.000, 0.000, 0.000)
Zr (0.000, 0.500, 0.500)
Zr (0.500, 0.000, 0.500)
Cr (0.500, 0.500, 0.000)
Hg (0.500, 0.500, 0.500)

Properties
**Density**: 5332 kg/m³
**Total magnetic moment**: 0.348 μB/atom
**Formation enthalpy at 0 K**: 1228 meV per atom


(1)
InAg2Te | PBE | relaxed

Cell and atoms, written as POSCAR:
```
InAg2Te
1.0
2.045 -2.615 0.000
2.045 2.615 0.000
0.000 0.000 8.718
In Ag Te
1 2 1
Direct
0.000 0.000 0.000
0.500 0.500 0.239
0.500 0.500 0.761
0.000 0.000 0.500
```

Results
- DOS at the Fermi energy (states/eV/f.u.) = 1.86
- total magnetization (μB/cell) = 0.00
- calculated volume (Å³/cell) = 93.22
- total DFT energy (no corrections) (eV/atom) = -2.7509
- raw formation energy (eV per atom) = 0.145

***

(2)
CoSiAs2 | PBE | relaxed

Cell and atoms, written as POSCAR:
```
CoSiAs2
1.0
3.657 -1.718 0.000
3.657 1.718 0.000
-1.611 0.000 5.515
Co Si As
1 1 2
Direct
0.000 0.000 0.000
0.278 0.278 0.923
0.475 0.475 0.665
0.743 0.743 0.238
```

Results
- DOS at the Fermi energy (states/eV/f.u.) = 1.88
- total magnetization (μB/cell) = 0.00
- calculated volume (Å³/cell) = 69.29
- total DFT energy (no corrections) (eV/atom) = -5.4556
- raw formation energy (eV per atom) = 0.001

***

(3)
Tm4Bi3Se | PBE | relaxed

Cell and atoms, written as POSCAR:
```
Tm4Bi3Se
1.0
-3.077 3.077 6.120
3.077 -3.077 6.120
3.077 3.077 -6.120
Tm Bi Se
4 3 1
Direct
0.000 0.500 0.500
0.241 0.241 0.000
0.500 0.000 0.500
0.759 0.759 0.000
0.250 0.750 0.500
0.500 0.500 0.000
0.750 0.250 0.500
0.000 0.000 0.000
```

Results
- DOS at the Fermi energy (states/eV/f.u.) = 3.01
- total magnetization (μB/cell) = 0.00
- calculated volume (Å³/cell) = 231.71
- total DFT energy (no corrections) (eV/atom) = -5.1022
- raw formation energy (eV per atom) = -0.976

***

(4)
Pa2CoNi4Ge3 | PBE | relaxed

Cell and atoms, written as POSCAR:
```
Pa2CoNi4Ge3
1.0
3.983 0.000 0.000
0.000 3.983 0.000
0.000 0.000 9.859
Pa Co Ni Ge
2 1 4 3
Direct
0.000 0.500 0.243
0.500 0.000 0.757
0.500 0.500 0.000
0.000 0.000 0.500
0.000 0.500 0.863
0.500 0.000 0.137
0.500 0.500 0.500
0.000 0.000 0.000
0.000 0.500 0.628
0.500 0.000 0.372
```

Results